• Work order:
Return the lines below from the first line to the one with "0.3684 0.5000" unchanged, please.

• Source:
=====
(1)
CaMgCu | Alexandria | GGA-PBE | optimized geometry; theoretical density = 2.9 Mg/m³; energy = -2.595 eV/atom; space-group type = No. 26; crystal system = orthorhombic
1.0
3.7935 0.0000 0.0000
0.0000 10.0643 0.0000
0.0000 0.0000 7.5984
Ca Mg Cu
4 4 4
Direct
0.0000 0.0546 0.0000 Ca
0.0000 0.3751 0.6015 Ca
0.0000 0.6249 0.1015 Ca
0.0000 0.9454 0.5000 Ca
0.5000 0.1769 0.3331 Mg
0.5000 0.3359 0.9743 Mg
0.5000 0.6641 0.4743 Mg
0.5000 0.8231 0.8331 Mg
0.5000 0.1311 0.7036 Cu
0.5000 0.4375 0.2966 Cu
0.5000 0.5625 0.7966 Cu
0.5000 0.8689 0.2036 Cu

=====

(2)
Ca3Mg2Cu2 | Alexandria | GGA-PBE | optimized geometry; excess energy over the best structure of this formula in the dataset = 1.11 kcal/mol of atoms; theoretical density = 2.7 Mg/m³; energy = -2.451 eV/atom; space-group type = No. 65; crystal system = orthorhombic
1.0
3.4623 0.0000 0.0000
0.0000 30.7016 0.0000
0.0000 0.0000 3.4587
Ca Mg Cu
6 4 4
Direct
0.0000 0.0000 0.0000 Ca
0.0000 0.3956 0.5000 Ca
0.0000 0.6044 0.5000 Ca
0.5000 0.1044 0.5000 Ca
0.5000 0.5000 0.0000 Ca
0.5000 0.8956 0.5000 Ca
0.0000 0.2924 0.5000 Mg
0.0000 0.7076 0.5000 Mg
0.5000 0.2076 0.5000 Mg
0.5000 0.7924 0.5000 Mg
0.0000 0.1647 0.0000 Cu
0.0000 0.8353 0.0000 Cu
0.5000 0.3353 0.0000 Cu
0.5000 0.6647 0.0000 Cu

=====

(3)
CaMgCu | Alexandria | GGA-PBE | optimized geometry; theoretical density = 3.0 Mg/m³; energy = -2.489 eV/atom; space-group type = No. 26; crystal system = orthorhombic
1.0
3.1779 0.0000 0.0000
0.0000 11.3127 0.0000
0.0000 0.0000 7.8082
Ca Mg Cu
4 4 4
Direct
0.0000 0.0751 0.0000 Ca
0.0000 0.3404 0.2466 Ca
0.0000 0.6596 0.7466 Ca
0.0000 0.9249 0.5000 Ca
0.0000 0.2080 0.5967 Mg
0.0000 0.3972 0.8534 Mg
0.0000 0.6028 0.3534 Mg
0.0000 0.7920 0.0967 Mg
0.5000 0.1237 0.3309 Cu
0.5000 0.4428 0.5618 Cu
0.5000 0.5572 0.0618 Cu
0.5000 0.8763 0.8309 Cu

=====

(4)
Ca3Mg2Cu2 | Alexandria | GGA-PBE | optimized geometry; excess energy over the best structure of this formula in the dataset = 0.00 kcal/mol of atoms; theoretical density = 2.6 Mg/m³; energy = -2.499 eV/atom; space-group type = No. 12; crystal system = monoclinic
1.0
8.6694 -1.9222 0.0000
8.6694 1.9222 0.0000
-2.7431 0.0000 11.1464
Ca Mg Cu
6 4 4
Direct
0.0736 0.0736 0.4208 Ca
0.2989 0.2989 0.1296 Ca
0.3804 0.3804 0.8344 Ca
0.6196 0.6196 0.1656 Ca
0.7011 0.7011 0.8704 Ca
0.9264 0.9264 0.5792 Ca
0.0475 0.0475 0.8909 Mg
0.2724 0.2724 0.3970 Mg
0.7276 0.7276 0.6030 Mg
0.9525 0.9525 0.1091 Mg
0.1267 0.1267 0.6831 Cu
0.4568 0.4568 0.2862 Cu
0.5432 0.5432 0.7138 Cu
0.8733 0.8733 0.3169 Cu

=====

(5)
CaMg2Cu | Alexandria | GGA-PBE | optimized geometry; theoretical density = 2.7 Mg/m³; energy = -2.283 eV/atom; space-group type = No. 10; crystal system = monoclinic
1.0
3.6198 0.0000 0.0000
0.0000 4.6208 0.0000
-1.5495 0.0000 5.6956
Ca Mg Cu
1 2 1
Direct
0.0000 0.0000 0.0000 Ca
0.3533 0.5000 0.7103 Mg
0.6467 0.5000 0.2897 Mg
0.5000 0.0000 0.5000 Cu

=====

(6)
CaMgCu | Alexandria | GGA-PBE | optimized geometry; theoretical density = 3.0 Mg/m³; energy = -2.677 eV/atom; space-group type = No. 129; crystal system = tetragonal
1.0
4.2863 0.0000 0.0000
0.0000 4.2863 0.0000
0.0000 0.0000 7.6492
Ca Mg Cu
2 2 2
Direct
0.2500 0.2500 0.1472 Ca
0.7500 0.7500 0.8528 Ca
0.2500 0.7500 0.5000 Mg
0.7500 0.2500 0.5000 Mg
0.2500 0.2500 0.7287 Cu
0.7500 0.7500 0.2713 Cu

=====

(7)
CaMgCu | Alexandria | GGA-PBE | optimized geometry; theoretical density = 3.2 Mg/m³; energy = -2.272 eV/atom; space-group type = No. 187; crystal system = hexagonal
1.0
5.0460 0.0000 0.0000
-2.5230 4.3699 0.0000
0.0000 0.0000 2.9699
Ca Mg Cu
1 1 1
Direct
0.0000 0.0000 0.0000 Ca
0.6667 0.3333 0.0000 Mg
0.3333 0.6667 0.5000 Cu

=====

(8)
CaMgCu | Alexandria | GGA-PBE | optimized geometry; theoretical density = 2.8 Mg/m³; energy = -2.586 eV/atom; space-group type = No. 12; crystal system = monoclinic
1.0
6.5668 0.0000 0.0000
0.0000 6.5160 0.0000
-2.9038 0.0000 6.9695
Ca Mg Cu
4 4 4
Direct
0.1316 0.0000 0.2940 Ca
0.3684 0.5000 0.7060 Ca
0.6316 0.5000 0.2940 Ca
0.8684 0.0000 0.7060 Ca
=====

• Written answer:
(1)
CaMgCu | Alexandria | GGA-PBE | optimized geometry; theoretical density = 2.9 Mg/m³; energy = -2.595 eV/atom; space-group type = No. 26; crystal system = orthorhombic
1.0
3.7935 0.0000 0.0000
0.0000 10.0643 0.0000
0.0000 0.0000 7.5984
Ca Mg Cu
4 4 4
Direct
0.0000 0.0546 0.0000 Ca
0.0000 0.3751 0.6015 Ca
0.0000 0.6249 0.1015 Ca
0.0000 0.9454 0.5000 Ca
0.5000 0.1769 0.3331 Mg
0.5000 0.3359 0.9743 Mg
0.5000 0.6641 0.4743 Mg
0.5000 0.8231 0.8331 Mg
0.5000 0.1311 0.7036 Cu
0.5000 0.4375 0.2966 Cu
0.5000 0.5625 0.7966 Cu
0.5000 0.8689 0.2036 Cu

=====

(2)
Ca3Mg2Cu2 | Alexandria | GGA-PBE | optimized geometry; excess energy over the best structure of this formula in the dataset = 1.11 kcal/mol of atoms; theoretical density = 2.7 Mg/m³; energy = -2.451 eV/atom; space-group type = No. 65; crystal system = orthorhombic
1.0
3.4623 0.0000 0.0000
0.0000 30.7016 0.0000
0.0000 0.0000 3.4587
Ca Mg Cu
6 4 4
Direct
0.0000 0.0000 0.0000 Ca
0.0000 0.3956 0.5000 Ca
0.0000 0.6044 0.5000 Ca
0.5000 0.1044 0.5000 Ca
0.5000 0.5000 0.0000 Ca
0.5000 0.8956 0.5000 Ca
0.0000 0.2924 0.5000 Mg
0.0000 0.7076 0.5000 Mg
0.5000 0.2076 0.5000 Mg
0.5000 0.7924 0.5000 Mg
0.0000 0.1647 0.0000 Cu
0.0000 0.8353 0.0000 Cu
0.5000 0.3353 0.0000 Cu
0.5000 0.6647 0.0000 Cu

=====

(3)
CaMgCu | Alexandria | GGA-PBE | optimized geometry; theoretical density = 3.0 Mg/m³; energy = -2.489 eV/atom; space-group type = No. 26; crystal system = orthorhombic
1.0
3.1779 0.0000 0.0000
0.0000 11.3127 0.0000
0.0000 0.0000 7.8082
Ca Mg Cu
4 4 4
Direct
0.0000 0.0751 0.0000 Ca
0.0000 0.3404 0.2466 Ca
0.0000 0.6596 0.7466 Ca
0.0000 0.9249 0.5000 Ca
0.0000 0.2080 0.5967 Mg
0.0000 0.3972 0.8534 Mg
0.0000 0.6028 0.3534 Mg
0.0000 0.7920 0.0967 Mg
0.5000 0.1237 0.3309 Cu
0.5000 0.4428 0.5618 Cu
0.5000 0.5572 0.0618 Cu
0.5000 0.8763 0.8309 Cu

=====

(4)
Ca3Mg2Cu2 | Alexandria | GGA-PBE | optimized geometry; excess energy over the best structure of this formula in the dataset = 0.00 kcal/mol of atoms; theoretical density = 2.6 Mg/m³; energy = -2.499 eV/atom; space-group type = No. 12; crystal system = monoclinic
1.0
8.6694 -1.9222 0.0000
8.6694 1.9222 0.0000
-2.7431 0.0000 11.1464
Ca Mg Cu
6 4 4
Direct
0.0736 0.0736 0.4208 Ca
0.2989 0.2989 0.1296 Ca
0.3804 0.3804 0.8344 Ca
0.6196 0.6196 0.1656 Ca
0.7011 0.7011 0.8704 Ca
0.9264 0.9264 0.5792 Ca
0.0475 0.0475 0.8909 Mg
0.2724 0.2724 0.3970 Mg
0.7276 0.7276 0.6030 Mg
0.9525 0.9525 0.1091 Mg
0.1267 0.1267 0.6831 Cu
0.4568 0.4568 0.2862 Cu
0.5432 0.5432 0.7138 Cu
0.8733 0.8733 0.3169 Cu

=====

(5)
CaMg2Cu | Alexandria | GGA-PBE | optimized geometry; theoretical density = 2.7 Mg/m³; energy = -2.283 eV/atom; space-group type = No. 10; crystal system = monoclinic
1.0
3.6198 0.0000 0.0000
0.0000 4.6208 0.0000
-1.5495 0.0000 5.6956
Ca Mg Cu
1 2 1
Direct
0.0000 0.0000 0.0000 Ca
0.3533 0.5000 0.7103 Mg
0.6467 0.5000 0.2897 Mg
0.5000 0.0000 0.5000 Cu

=====

(6)
CaMgCu | Alexandria | GGA-PBE | optimized geometry; theoretical density = 3.0 Mg/m³; energy = -2.677 eV/atom; space-group type = No. 129; crystal system = tetragonal
1.0
4.2863 0.0000 0.0000
0.0000 4.2863 0.0000
0.0000 0.0000 7.6492
Ca Mg Cu
2 2 2
Direct
0.2500 0.2500 0.1472 Ca
0.7500 0.7500 0.8528 Ca
0.2500 0.7500 0.5000 Mg
0.7500 0.2500 0.5000 Mg
0.2500 0.2500 0.7287 Cu
0.7500 0.7500 0.2713 Cu

=====

(7)
CaMgCu | Alexandria | GGA-PBE | optimized geometry; theoretical density = 3.2 Mg/m³; energy = -2.272 eV/atom; space-group type = No. 187; crystal system = hexagonal
1.0
5.0460 0.0000 0.0000
-2.5230 4.3699 0.0000
0.0000 0.0000 2.9699
Ca Mg Cu
1 1 1
Direct
0.0000 0.0000 0.0000 Ca
0.6667 0.3333 0.0000 Mg
0.3333 0.6667 0.5000 Cu

=====

(8)
CaMgCu | Alexandria | GGA-PBE | optimized geometry; theoretical density = 2.8 Mg/m³; energy = -2.586 eV/atom; space-group type = No. 12; crystal system = monoclinic
1.0
6.5668 0.0000 0.0000
0.0000 6.5160 0.0000
-2.9038 0.0000 6.9695
Ca Mg Cu
4 4 4
Direct
0.1316 0.0000 0.2940 Ca
0.3684 0.5000 0.7060 Ca